## Excerpt
********
(1)
## IrBr2Cl (SCAN)

Data for a PBEsol-optimized structure of IrBr2Cl.

Output
density = 5.78 g/cm³
E_form (uncorrected) = -0.2019 eV/atom
density of states at the Fermi level = 0.960 states/eV/atom

Cell lengths 4.7422, 3.6758, 6.8083 Å; angles 90.00, 110.23, 90.00 degrees
Fractional coordinates of all 4 atoms:
Ir1 0.0000 0.0000 0.0000
Br1 0.1289 0.5000 0.2599
Br2 0.8711 0.5000 0.7401
Cl1 0.5000 0.0000 0.0000

(2)
## CdRuCl2 (SCAN)

Data for a PBEsol-optimized structure of CdRuCl2.

Output
density = 6.38 g/cm³
E_form (uncorrected) = 0.4695 eV/atom
density of states at the Fermi level = 0.762 states/eV/atom

Cell lengths 4.7119, 4.7119, 4.7119 Å; angles 60.00, 60.00, 60.00 degrees
Fractional coordinates of all 4 atoms:
Cd1 0.0000 0.0000 0.0000
Ru1 0.2500 0.2500 0.2500
Cl1 0.5000 0.5000 0.5000
Cl2 0.7500 0.7500 0.7500

(3)
## TaSbRh2 (SCAN)

Data for a PBEsol-optimized structure of TaSbRh2.

Output
density = 12.37 g/cm³
E_form (uncorrected) = -0.2004 eV/atom
density of states at the Fermi level = 0.629 states/eV/atom

Cell lengths 8.4991, 8.4991, 8.4991 Å; angles 20.88, 20.88, 20.88 degrees
Fractional coordinates of all 4 atoms:
Ta1 0.0000 0.0000 0.0000
Sb1 0.5000 0.5000 0.5000
Rh1 0.2552 0.2552 0.2552
Rh2 0.7448 0.7448 0.7448

* * * * *

1.
Here is a relaxed structure of La2CrRu from the Alexandria database. Energies are from GGA-PBE.

Fermi-level density of states: 1.185 states/eV/atom
Energy of formation: 242 meV per atom
Spin magnetization: 0.00 μB per formula unit
Total energy: -27.786 eV per cell
Calculated density: 7.04 g/cm³

Lattice parameters (Å, degrees): 3.881 3.296 8.235 74.67 90.00 90.00
Element x y z (fractional)
1 Cr 0.500 0.745 0.671
2 La 0.000 0.974 0.914
3 La 0.500 0.259 0.340
4 Ru 0.000 0.521 0.575

---

2.
Here is a relaxed structure of TcBr from the Alexandria database. Energies are from GGA-PBE.

Fermi-level density of states: 0.523 states/eV/atom
Spin magnetization: 0.00 μB per formula unit
E_form (uncorrected): 0.6445 eV per atom
Total energy: -171.997 eV per cell
Calculated density: 6.28 g/cm³

Lattice parameters (Å, degrees): 10.023 10.112 7.431 90.00 90.00 90.00
Element x y z (fractional)
1 Tc 0.105 0.000 0.000
2 Tc 0.895 0.000 0.000
3 Tc 0.145 0.750 0.250
4 Tc 0.355 0.750 0.250
5 Tc 0.105 0.500 0.500
6 Tc 0.895 0.500 0.500
7 Tc 0.145 0.250 0.750
8 Tc 0.355 0.250 0.750
9 Tc 0.605 0.000 0.500
10 Tc 0.395 0.000 0.500
11 Tc 0.645 0.750 0.750
12 Tc 0.855 0.750 0.750
13 Tc 0.605 0.500 0.000
14 Tc 0.395 0.500 0.000
15 Tc 0.645 0.250 0.250
16 Tc 0.855 0.250 0.250
17 Br 0.000 0.662 0.000
18 Br 0.000 0.338 0.000
19 Br 0.250 0.088 0.250
20 Br 0.250 0.412 0.250
21 Br 0.000 0.162 0.500
22 Br 0.000 0.838 0.500
23 Br 0.250 0.588 0.750
24 Br 0.250 0.912 0.750
25 Br 0.500 0.662 0.500
26 Br 0.500 0.338 0.500
27 Br 0.750 0.088 0.750
28 Br 0.750 0.412 0.750
29 Br 0.500 0.162 0.000
30 Br 0.500 0.838 0.000
31 Br 0.750 0.588 0.250
32 Br 0.750 0.912 0.250

---

3.
Here is a relaxed structure of RbAs2Se4 from the Alexandria database. Energies are from GGA-PBE.

Fermi-level density of states: 0.627 states/eV/atom
Spin magnetization: 0.00 μB per formula unit
E_form (uncorrected): -0.2484 eV per atom
Total energy: -51.887 eV per cell
Calculated density: 4.91 g/cm³

Lattice parameters (Å, degrees): 3.826 6.748 15.063 90.00 90.00 106.47
Element x y z (fractional)
1 Rb 0.589 0.178 0.750
2 Rb 0.411 0.822 0.250
3 As 0.142 0.285 0.438
4 As 0.858 0.715 0.938
5 As 0.142 0.285 0.062
6 As 0.858 0.715 0.562
7 Se 0.777 0.555 0.095
8 Se 0.777 0.555 0.405
9 Se 0.223 0.445 0.905
10 Se 0.223 0.445 0.595
11 Se 0.872 0.743 0.750
12 Se 0.128 0.257 0.250
13 Se 0.500 0.000 0.000
14 Se 0.500 0.000 0.500

---

4.
Here is a relaxed structure of Rb2BeCl5 from the Alexandria database. Energies are from GGA-PBE.

Spin magnetization: 0.92 μB per formula unit
E_form (uncorrected): -1.4787 eV per atom
Total energy: -26.724 eV per cell
Calculated density: 2.20 g/cm³

Lattice parameters (Å, degrees): 6.939 7.893 6.941 115.01 118.63 99.02
********
## What to do
Count the lines above that contain the word "Spin" and give the number alone, please.
## Here it is
4